### Source
=====
4
Lattice="2.406 -3.517 -1.232 -1.886 -4.009 -0.226 -0.707 -1.899 -3.946" Properties=species:S:1:pos:R:3 comment="Re2RuBr, optimized geometry, DFT PBE" formation_energy_ev_per_atom=1.04 pbc="T T T"
Re -0.047 -2.356 -1.351
Re -0.140 -7.068 -4.053
Ru -0.094 -4.712 -2.702
Br 0.000 0.000 0.000


DFT (GGA+U) results for a relaxed structure of Li2VOF4.

M_tot, Bohr magnetons per cell: 4.0
E above lowest polymorph, meV/atom: 17
Calculated volume, A^3/atom: 11.1
Formation energy, eV/atom: -3.0145

The structure in CIF format:
```
data_Li2VOF4
_cell_length_a 5.048
_cell_length_b 7.220
_cell_length_c 10.346
_cell_angle_alpha 108.97
_cell_angle_beta 89.78
_cell_angle_gamma 91.14
_space_group_name_H-M_alt 'P 1'
_space_group_IT_number 1
loop_
_space_group_symop_operation_xyz
'x,y,z'
loop_
_atom_site_label
_atom_site_type_symbol
_atom_site_fract_x
_atom_site_fract_y
_atom_site_fract_z
_atom_site_occupancy
Li1 Li 0.468 0.640 0.813 1
O1 O 0.840 0.751 0.000 1
F1 F 0.341 0.032 0.676 1
F2 F 0.155 0.034 0.180 1
F3 F 0.185 0.473 0.837 1
V1 V 0.013 0.034 0.005 1
F4 F 0.307 0.464 0.332 1
F5 F 0.337 0.240 0.503 1
F6 F 0.705 0.358 0.895 1
F7 F 0.673 0.121 0.088 1
F8 F 0.227 0.611 0.615 1
F9 F 0.703 0.535 0.670 1
Li2 Li 0.033 0.852 0.660 1
O2 O 0.153 0.253 0.010 1
F10 F 0.651 0.966 0.322 1
O3 O 0.650 0.755 0.500 1
V2 V 0.969 0.534 0.001 1
F11 F 0.840 0.964 0.827 1
O4 O 0.789 0.367 0.401 1
F12 F 0.795 0.525 0.166 1
V3 V 0.518 0.973 0.499 1
Li3 Li 0.477 0.368 0.157 1
Li4 Li 0.510 0.118 0.854 1
Li5 Li 0.036 0.629 0.313 1
F13 F 0.274 0.638 0.117 1
F14 F 0.815 0.137 0.580 1
Li6 Li 0.997 0.116 0.362 1
V4 V 0.536 0.484 0.489 1
Li7 Li 0.016 0.383 0.659 1
F15 F 0.316 0.881 0.915 1
Li8 Li 0.493 0.885 0.138 1
F16 F 0.177 0.878 0.415 1
```

---

DFT (GGA+U) results for a relaxed structure of LiCr2P2O8.

M_tot, Bohr magnetons per cell: 28.0
E above lowest polymorph, meV/atom: 49
Calculated volume, A^3/atom: 12.1
Formation energy, eV/atom: -2.4879

The structure in CIF format:
```
data_LiCr2P2O8
_cell_length_a 10.858
_cell_length_b 5.642
_cell_length_c 10.258
_cell_angle_alpha 87.67
_cell_angle_beta 90.00
_cell_angle_gamma 90.00
_space_group_name_H-M_alt 'P 1'
_space_group_IT_number 1
loop_
_space_group_symop_operation_xyz
'x,y,z'
loop_
_atom_site_label
_atom_site_type_symbol
_atom_site_fract_x
_atom_site_fract_y
_atom_site_fract_z
_atom_site_occupancy
P1 P 0.640 0.118 0.088 1
O1 O 0.972 0.875 0.148 1
O2 O 0.554 0.335 0.073 1
O3 O 0.472 0.125 0.352 1
Cr1 Cr 0.872 0.661 0.483 1
O4 O 0.305 0.359 0.458 1
Cr2 Cr 0.599 0.131 0.767 1
Cr3 Cr 0.901 0.131 0.267 1
O5 O 0.820 0.645 0.292 1
P2 P 0.893 0.638 0.161 1
O6 O 0.446 0.665 0.927 1
Li1 Li 0.625 0.880 0.404 1
O7 O 0.692 0.060 0.951 1
O8 O 0.564 0.892 0.133 1
O9 O 0.436 0.108 0.867 1
O10 O 0.680 0.645 0.792 1
Cr4 Cr 0.372 0.339 0.017 1
O11 O 0.805 0.641 0.042 1
P3 P 0.360 0.882 0.912 1
O12 O 0.054 0.665 0.427 1
O13 O 0.028 0.125 0.852 1
O14 O 0.195 0.359 0.958 1
O15 O 0.237 0.836 0.309 1
O16 O 0.973 0.408 0.163 1
Cr5 Cr 0.401 0.869 0.233 1
O17 O 0.808 0.060 0.451 1
O18 O 0.763 0.164 0.691 1
O19 O 0.027 0.592 0.837 1
P4 P 0.393 0.362 0.339 1
O20 O 0.263 0.836 0.809 1
P5 P 0.860 0.118 0.588 1
Li2 Li 0.125 0.120 0.096 1
O21 O 0.320 0.355 0.208 1
Cr6 Cr 0.128 0.339 0.517 1
O22 O 0.308 0.940 0.049 1
O23 O 0.946 0.335 0.573 1
O24 O 0.527 0.408 0.663 1
O25 O 0.528 0.875 0.648 1
P6 P 0.140 0.882 0.412 1
O26 O 0.936 0.892 0.633 1
Li3 Li 0.375 0.120 0.596 1
Cr7 Cr 0.099 0.869 0.733 1
O27 O 0.473 0.592 0.337 1
Li4 Li 0.875 0.880 0.904 1
O28 O 0.064 0.108 0.367 1
P7 P 0.107 0.362 0.839 1
P8 P 0.607 0.638 0.661 1
O29 O 0.180 0.355 0.708 1
Cr8 Cr 0.628 0.661 0.983 1
O30 O 0.737 0.164 0.191 1
O31 O 0.695 0.641 0.542 1
O32 O 0.192 0.940 0.549 1
```

---

DFT (GGA+U) results for a relaxed structure of Li3V5O12.

M_tot, Bohr magnetons per cell: 4.0
E above lowest polymorph, meV/atom: 47
Calculated volume, A^3/atom: 12.7
Formation energy, eV/atom: -2.4135

The structure in CIF format:
```
data_Li3V5O12
_cell_length_a 6.903
=====
### What to do
Now write out the whole of the rows earlier on word for word.
### Worked solution
4
Lattice="2.406 -3.517 -1.232 -1.886 -4.009 -0.226 -0.707 -1.899 -3.946" Properties=species:S:1:pos:R:3 comment="Re2RuBr, optimized geometry, DFT PBE" formation_energy_ev_per_atom=1.04 pbc="T T T"
Re -0.047 -2.356 -1.351
Re -0.140 -7.068 -4.053
Ru -0.094 -4.712 -2.702
Br 0.000 0.000 0.000


DFT (GGA+U) results for a relaxed structure of Li2VOF4.

M_tot, Bohr magnetons per cell: 4.0
E above lowest polymorph, meV/atom: 17
Calculated volume, A^3/atom: 11.1
Formation energy, eV/atom: -3.0145

The structure in CIF format:
```
data_Li2VOF4
_cell_length_a 5.048
_cell_length_b 7.220
_cell_length_c 10.346
_cell_angle_alpha 108.97
_cell_angle_beta 89.78
_cell_angle_gamma 91.14
_space_group_name_H-M_alt 'P 1'
_space_group_IT_number 1
loop_
_space_group_symop_operation_xyz
'x,y,z'
loop_
_atom_site_label
_atom_site_type_symbol
_atom_site_fract_x
_atom_site_fract_y
_atom_site_fract_z
_atom_site_occupancy
Li1 Li 0.468 0.640 0.813 1
O1 O 0.840 0.751 0.000 1
F1 F 0.341 0.032 0.676 1
F2 F 0.155 0.034 0.180 1
F3 F 0.185 0.473 0.837 1
V1 V 0.013 0.034 0.005 1
F4 F 0.307 0.464 0.332 1
F5 F 0.337 0.240 0.503 1
F6 F 0.705 0.358 0.895 1
F7 F 0.673 0.121 0.088 1
F8 F 0.227 0.611 0.615 1
F9 F 0.703 0.535 0.670 1
Li2 Li 0.033 0.852 0.660 1
O2 O 0.153 0.253 0.010 1
F10 F 0.651 0.966 0.322 1
O3 O 0.650 0.755 0.500 1
V2 V 0.969 0.534 0.001 1
F11 F 0.840 0.964 0.827 1
O4 O 0.789 0.367 0.401 1
F12 F 0.795 0.525 0.166 1
V3 V 0.518 0.973 0.499 1
Li3 Li 0.477 0.368 0.157 1
Li4 Li 0.510 0.118 0.854 1
Li5 Li 0.036 0.629 0.313 1
F13 F 0.274 0.638 0.117 1
F14 F 0.815 0.137 0.580 1
Li6 Li 0.997 0.116 0.362 1
V4 V 0.536 0.484 0.489 1
Li7 Li 0.016 0.383 0.659 1
F15 F 0.316 0.881 0.915 1
Li8 Li 0.493 0.885 0.138 1
F16 F 0.177 0.878 0.415 1
```

---

DFT (GGA+U) results for a relaxed structure of LiCr2P2O8.

M_tot, Bohr magnetons per cell: 28.0
E above lowest polymorph, meV/atom: 49
Calculated volume, A^3/atom: 12.1
Formation energy, eV/atom: -2.4879

The structure in CIF format:
```
data_LiCr2P2O8
_cell_length_a 10.858
_cell_length_b 5.642
_cell_length_c 10.258
_cell_angle_alpha 87.67
_cell_angle_beta 90.00
_cell_angle_gamma 90.00
_space_group_name_H-M_alt 'P 1'
_space_group_IT_number 1
loop_
_space_group_symop_operation_xyz
'x,y,z'
loop_
_atom_site_label
_atom_site_type_symbol
_atom_site_fract_x
_atom_site_fract_y
_atom_site_fract_z
_atom_site_occupancy
P1 P 0.640 0.118 0.088 1
O1 O 0.972 0.875 0.148 1
O2 O 0.554 0.335 0.073 1
O3 O 0.472 0.125 0.352 1
Cr1 Cr 0.872 0.661 0.483 1
O4 O 0.305 0.359 0.458 1
Cr2 Cr 0.599 0.131 0.767 1
Cr3 Cr 0.901 0.131 0.267 1
O5 O 0.820 0.645 0.292 1
P2 P 0.893 0.638 0.161 1
O6 O 0.446 0.665 0.927 1
Li1 Li 0.625 0.880 0.404 1
O7 O 0.692 0.060 0.951 1
O8 O 0.564 0.892 0.133 1
O9 O 0.436 0.108 0.867 1
O10 O 0.680 0.645 0.792 1
Cr4 Cr 0.372 0.339 0.017 1
O11 O 0.805 0.641 0.042 1
P3 P 0.360 0.882 0.912 1
O12 O 0.054 0.665 0.427 1
O13 O 0.028 0.125 0.852 1
O14 O 0.195 0.359 0.958 1
O15 O 0.237 0.836 0.309 1
O16 O 0.973 0.408 0.163 1
Cr5 Cr 0.401 0.869 0.233 1
O17 O 0.808 0.060 0.451 1
O18 O 0.763 0.164 0.691 1
O19 O 0.027 0.592 0.837 1
P4 P 0.393 0.362 0.339 1
O20 O 0.263 0.836 0.809 1
P5 P 0.860 0.118 0.588 1
Li2 Li 0.125 0.120 0.096 1
O21 O 0.320 0.355 0.208 1
Cr6 Cr 0.128 0.339 0.517 1
O22 O 0.308 0.940 0.049 1
O23 O 0.946 0.335 0.573 1
O24 O 0.527 0.408 0.663 1
O25 O 0.528 0.875 0.648 1
P6 P 0.140 0.882 0.412 1
O26 O 0.936 0.892 0.633 1
Li3 Li 0.375 0.120 0.596 1
Cr7 Cr 0.099 0.869 0.733 1
O27 O 0.473 0.592 0.337 1
Li4 Li 0.875 0.880 0.904 1
O28 O 0.064 0.108 0.367 1
P7 P 0.107 0.362 0.839 1
P8 P 0.607 0.638 0.661 1
O29 O 0.180 0.355 0.708 1
Cr8 Cr 0.628 0.661 0.983 1
O30 O 0.737 0.164 0.191 1
O31 O 0.695 0.641 0.542 1
O32 O 0.192 0.940 0.549 1
```

---

DFT (GGA+U) results for a relaxed structure of Li3V5O12.

M_tot, Bohr magnetons per cell: 4.0
E above lowest polymorph, meV/atom: 47
Calculated volume, A^3/atom: 12.7
Formation energy, eV/atom: -2.4135

The structure in CIF format:
```
data_Li3V5O12
_cell_length_a 6.903